Responsibility towards the planet is for us a source of inspiration, not a limit.

The rethinking of consumer habits along with individual and social behaviour patterns in a sustainable way is a major commitment, which we at AMDL CIRCLE express in spaces and objects that are ecological in terms of materials and construction techniques, but above all designed to inspire responsible behaviour in people. Of course, technical solutions can help us a great deal, but they are not sufficient if we do not commit ourselves to building a sustainable mindset that allows us to make the most of this potential. Our goal is to help create responsible behaviour through spaces that express emotion, directed at fostering well-being and mindful of environmental issues.
The page is interrupted by materials data =
MgPaCuO4 (PBE-GGA, optimized geometry); formation energy (no corrections) = -2.529 eV/atom; uncorrected energy = -105.438 eV per cell
1.0
6.4100 0.0000 0.0000
-3.2050 5.3726 -1.1866
0.0000 -3.9542 6.5028
Mg Pa Cu O
2 2 2 8
Direct
0.8963 0.7925 0.1463 Mg
0.1037 0.2075 0.8537 Mg
0.5000 0.0000 0.5000 Pa
0.5000 0.0000 0.0000 Pa
0.5000 0.5000 0.5000 Cu
0.0000 0.5000 0.5000 Cu
0.7503 0.5006 0.7906 O
0.2935 0.0296 0.2648 O
0.7361 0.0296 0.2648 O
0.7503 0.5006 0.2100 O
0.2497 0.4994 0.7900 O
0.7065 0.9704 0.7352 O
0.2639 0.9704 0.7352 O
0.2497 0.4994 0.2094 O

RbTbF4 (PBE-GGA, optimized geometry); formation energy (no corrections) = -3.694 eV/atom; uncorrected energy = -140.979 eV per cell
1.0
-1.5742 -2.7097 1.9061
-0.5126 -3.3941 -5.2484
14.5521 -6.4979 2.7809
Rb Tb F
4 4 16
Direct
0.7500 0.7731 0.8002 Rb
0.2500 0.2269 0.1998 Rb
0.2500 0.7269 0.3002 Rb
0.7500 0.2731 0.6998 Rb
0.7500 0.2492 0.4445 Tb
0.2500 0.7508 0.5555 Tb
0.2500 0.2508 0.9445 Tb
0.7500 0.7492 0.0555 Tb
0.7500 0.8866 0.6245 F
0.2500 0.1134 0.3755 F
0.2500 0.6134 0.1245 F
0.7500 0.3866 0.8755 F
0.7500 0.8693 0.4639 F
0.2500 0.1307 0.5361 F
0.2500 0.6307 0.9639 F
0.7500 0.3693 0.0361 F
0.7500 0.9988 0.9467 F
0.2500 0.0012 0.0533 F
0.2500 0.5012 0.4467 F
0.7500 0.4988 0.5533 F
0.7500 0.8980 0.1804 F
0.2500 0.1020 0.8196 F
0.2500 0.6020 0.6804 F
0.7500 0.3980 0.3196 F

Li2InMo (PBE-GGA, optimized geometry); energy of formation = 0.2724 eV per atom; uncorrected energy = -16.308 eV per cell
1.0
5.8187 0.0138 0.0331
2.9997 4.9859 -0.0331
-3.6869 -3.7739 2.4543
In Li Mo
1 2 1
Direct
0.7500 0.2500 0.5000 In
0.9999 0.9999 0.0000 Li
0.5001 0.5001 0.0000 Li
0.2500 0.7500 0.5000 Mo

PrRe4N8 (PBE-GGA, optimized geometry); formation energy (no corrections) = 0.233 eV/atom; uncorrected energy = -118.140 eV per cell
1.0
-2.8947 3.7796 -3.6711
0.4931 -1.2550 -5.8586
-4.9631 -2.2281 -2.5582
Pr Re N
1 4 8
Direct
0.0000 0.0000 0.0000 Pr
0.5000 0.5000 0.5000 Re
0.5000 0.5000 0.0000 Re
0.0000 0.5000 0.5000 Re
0.5000 0.0000 0.5000 Re
0.7039 0.2692 0.2692 N
0.2692 0.2692 0.7039 N
0.2692 0.7039 0.2692 N
0.2677 0.2677 0.2677 N
0.7323 0.7323 0.7323 N
0.7308 0.7308 0.2961 N
0.7308 0.2961 0.7308 N
0.2961 0.7308 0.7308 N

- The lowest uncorrected energy belongs to which entry?
  RbTbF4

* * * * *

PBE PrHgCl6, optimized geometry; total magnetic moment = 0.926 μB per cell; raw formation energy = -1.176 eV/atom
1.0
6.5962 0.0000 0.0000
-2.8627 5.9454 0.0000
-3.0987 -1.5363 6.1236
Pr Hg Cl
1 1 6
Direct
0.0000 0.0000 0.0000
0.0000 0.5000 0.5000
0.1655 0.4260 0.2590
0.1871 0.2666 0.7495
0.4953 0.0717 0.2482
0.5047 0.9283 0.7518
0.8129 0.7334 0.2505
0.8345 0.5740 0.7410

* * * * *

Below is crystalline SmYHgPd at its relaxed geometry, with properties calculated at the GGA-PBE level.

Values from the calculation:
Energy of formation from the pure elements   -0.621 eV/atom
Final energy   -4.791 eV per atom
ΔE to the lowest computed polymorph   36 meV/atom

POSCAR file:
```
SmYHgPd
1.0
5.172 0.000 0.000
2.586 4.479 0.000
The 2030 Agenda for Sustainable Development, adopted by all UN member states in 2015, provides a shared model for peace and prosperity for people and the planet, now and in the future. At its centre are 17 Sustainable Development Goals: an urgent call for action by all countries in a global partnership. Efforts to end poverty and other miseries must go hand in hand with strategies that improve health and education, reduce inequalities and stimulate economic growth; all the while tackling climate change and working to preserve our planet.
In keeping with these objectives, we are committed to social, economic and environmental sustainability at all stages of the design process. Starting from the initial idea and before deciding whether to build or demolish, we carry out a thorough analysis to understand how we can contribute to reducing the ravages to our planet and, at the same time, make it more the embodiment of our civilization. Our sustainability seeks above all to be creative: indeed, it is through this responsible creativity that each time we choose whether to develop new solutions or celebrate tradition by renovating the existing. The ambition is to make cities and architectures more dynamic in order to inspire proactive attitudes, stimulate imagination and foster cultural growth. Our creative commitment to sustainability is rooted in 10 concepts that guide us in the design phases.
1. Durability
Architectures that withstand the test of time enable the environmental and economic costs incurred during the construction phase to be amortized in the long term. The success of a building is proportional to the degree of attraction it is able to exert. At AMDL CIRCLE, we address the issue of durability by combining multifunctionality, repurposing and technical-constructional innovation with cultural, symbolic, social, aesthetic and artistic meanings.
2. Multifunctionality
The concept of space is changing rapidly. Today we are increasingly witnessing the conversion of monofunctional buildings into places that serve other purposes, also in situations of emergency. Our design ethic leads us to integrate different functions into a single building, enhancing the use of the environments to meet different needs. A multifunctional architecture is naturally predisposed to accommodate other purposes in the future that were not foreseen in the original design.
3. Renovation
The decision to renovate existing buildings is always driven by notions of sustainability and culture. The task of the architect is to carry out outstanding interventions capable of integrating into the historical and social fabric of the city, enhancing local tradition and merging with the atmosphere of the location. AMDL CIRCLE has extensive experience in the restoration and renovation of existing buildings combined with new builds, always with the aim of enhancing the context and improving the usability of the spaces.
4. Reprogrammability
The architectures of AMDL CIRCLE are designed taking into account that the project can always be expanded or modified over time. Today, more than ever, we need to project thinking forward: instead of just responding to immediate uses, architecture can help pre-empt needs and guide future behaviour. Repurposing allows buildings to be contemporary and always receptive to future uses, adapting to changing socio-economic conditions.
5. Glocality
We combine the heritage of Italian design with inspirations derived from the culture and history of the countries in which we operate, taking into account local materials and construction techniques with a global approach and openness to innovation.
6. Materials
[These data records were left in the piece by mistake]
........
Material: Zr2PdPt6
Method: DFT, PBE
State: optimized geometry

a b c (Å): 5.492 5.492 6.384
angles (deg): 102.39 102.39 58.10
Atoms (fractional coordinates):
1 Zr 0.164 0.164 0.148
2 Zr 0.836 0.836 0.852
3 Pd 0.500 0.500 0.000
4 Pt 0.159 0.673 0.291
5 Pt 0.308 0.308 0.605
6 Pt 0.327 0.841 0.709
7 Pt 0.673 0.159 0.291
8 Pt 0.692 0.692 0.395
9 Pt 0.841 0.327 0.709

Results
SG: C2/m
DFT total energy in eV/atom: -7.13
Distance to the lowest polymorph of the same formula in eV/atom: 0.166
N(E_F) in states/eV per atom: 0.55
Total magnetization in μB per formula unit: 0.0

=====

Material: AlZnPb
Method: DFT, PBE
State: optimized geometry

a b c (Å): 4.655 4.655 4.655
angles (deg): 60.00 60.00 60.00
Atoms (fractional coordinates):
1 Al 0.000 0.000 0.000
2 Zn 0.750 0.750 0.750
3 Pb 0.500 0.500 0.500

Results
SG: F-43m
DFT total energy in eV/atom: -2.66
Distance to the lowest polymorph of the same formula in eV/atom: 0.049
N(E_F) in states/eV per atom: 0.79
Total magnetization in μB per formula unit: 0.0

=====

Material: Er8Ru2Rh
Method: DFT, PBE
State: optimized geometry

a b c (Å): 8.950 8.950 6.805
angles (deg): 106.80 106.80 31.14
Atoms (fractional coordinates):
1 Er 0.031 0.031 0.290
2 Er 0.204 0.204 0.814
3 Er 0.331 0.331 0.535
4 Er 0.404 0.404 0.044
5 Er 0.596 0.596 0.956
6 Er 0.669 0.669 0.465
7 Er 0.796 0.796 0.186
8 Er 0.969 0.969 0.710
9 Ru 0.185 0.185 0.200
10 Ru 0.815 0.815 0.800
11 Rh 0.500 0.500 0.500

Results
SG: C2/m
DFT total energy in eV/atom: -6.05
Distance to the lowest polymorph of the same formula in eV/atom: 0.000
N(E_F) in states/eV per atom: 0.91
Total magnetization in μB per formula unit: 0.0

=====

Crystalline Cs2Pa3Se6 at its relaxed geometry. Source: Alexandria via LeMat-Bulk, functional PBE-GGA.

abc: 7.178 7.178 9.079
angles: 82.42 74.71 60.00
Each line ends with the local moment (μB).
Atoms (fractional coordinates):
Cs 0.167 0.667 0.500  0.00
Se 0.729 0.000 0.811  -0.03
Se 0.064 0.333 0.812  -0.03
Se 0.936 0.667 0.188  -0.03
Se 0.604 0.333 0.188  -0.03
Pa 0.334 0.332 0.000  1.35
Pa 0.000 0.000 0.000  1.35
Pa 0.666 0.668 0.000  1.35
Se 0.396 0.667 0.812  -0.03
Cs 0.833 0.333 0.500  0.00
Se 0.271 0.000 0.189  -0.03

Output
calculated density = 6.1 g/cm³
formation energy without anion corrections = -1.352 eV/atom


Crystalline Cs2Pa3Se8 at its relaxed geometry. Source: Alexandria via LeMat-Bulk, functional PBE-GGA.

abc: 7.316 8.538 9.732
angles: 116.02 105.52 90.00
Each line ends with the local moment (μB).
Atoms (fractional coordinates):
Se 0.382 0.863 0.179  -0.02
Cs 0.669 0.734 0.468  0.00
Pa 0.000 0.743 0.000  0.45
Se 0.958 0.598 0.196  -0.02
Pa 0.000 0.257 0.000  0.45
Se 0.042 0.402 0.804  -0.02
Se 0.897 0.090 0.180  -0.02
Se 0.618 0.684 0.821  -0.02
Se 0.103 0.910 0.820  -0.02
Cs 0.331 0.266 0.532  0.00
Se 0.618 0.137 0.821  -0.02
Se 0.382 0.316 0.179  -0.02
Pa 0.500 0.000 0.000  0.38

Output
excess energy over the best structure of this formula in the dataset = 0.0 kJ/mol of atoms
calculated density = 5.1 g/cm³
........
We favour the use of natural materials derived from renewable sources, which involves the application of local skills and know-how and reduces transport costs and energy consumption.
7. Suppliers
We carefully select our suppliers in terms of their sustainability standards, the quality of their work and the materials they use.
8. Communication
Building a new architecture makes sense if, beyond the value of its use, it becomes a symbol which everyone can identify with. Homes, offices, hotels, production and commercial facilities, public and administrative buildings must speak to everyone: to those who live there, to those who see them, to those who want them, but also to those who do not want them.
9. Attraction
The text is interrupted by materials data =
____________
{"formula": "Sc2TaPb", "functional": "PBE-GGA", "state": "optimized geometry", "volume_a3_per_atom": 22.96, "e_form_kj_per_mol_atoms": 18.69, "sg": "R3m, No. 160", "cell": [[10.249, -0.017, -0.010], [9.741, 3.187, -0.010], [9.741, 1.545, 2.788]], "species": ["Pb", "Sc", "Sc", "Ta"], "frac_coords": [[0.753, 0.753, 0.753], [0.245, 0.245, 0.245], [0.001, 0.001, 0.001], [0.500, 0.500, 0.500]]}
____________
A new architecture makes sense if it becomes a living and inhabited architecture, able to attract and arouse wonder. Whether buildings succeed in lasting into the future will depend on their ability to attract and seduce.
10. Imagination
The imagination always needs to be nourished and rejuvenated. The most alive cities, architectures and objects are those that stimulate imagination and cultural growth.